Work order:
What is needed: set down the contents further down word for word.

Given:
-- begin --
(1)
DFT (PBEsol) results for a relaxed structure of RbLiSbTe2.

Values from the calculation:
- density (g/cm³) = 5.4
- crystal system = tetragonal
- DFT total energy (eV per cell) = -15.66
- ΔE_f (raw) (eV/atom) = -0.21

Geometry as POSCAR:
```
RbLiSbTe2
1.0
5.042 0.000 0.000
0.000 5.366 0.000
0.000 0.000 5.366
Li Te Rb Sb
1 2 1 1
Cartesian
0.000 0.000 0.000
0.000 2.683 0.000
0.000 0.000 2.683
2.521 2.683 2.683
2.521 0.000 0.000
```



(2)
DFT (PBEsol) results for a relaxed structure of RbLiSb2Te.

Values from the calculation:
- distance to the lowest polymorph of the same formula (meV per atom) = 0
- density (g/cm³) = 5.4
- crystal system = tetragonal
- DFT total energy (eV per cell) = -16.11
- ΔE_f (raw) (eV/atom) = -0.09

Geometry as POSCAR:
```
RbLiSb2Te
1.0
5.117 0.000 0.000
0.000 5.117 0.000
0.000 0.000 5.445
Sb Te Rb Li
2 1 1 1
Cartesian
0.000 2.558 0.000
2.558 0.000 0.000
0.000 0.000 2.723
2.558 2.558 2.723
0.000 0.000 0.000
```



(3)
DFT (PBEsol) results for a relaxed structure of RbLiSb2Te.

Values from the calculation:
- distance to the lowest polymorph of the same formula (meV per atom) = 1074
- density (g/cm³) = 3.5
- crystal system = tetragonal
- DFT total energy (eV per cell) = -10.74
- ΔE_f (raw) (eV/atom) = 0.98

Geometry as POSCAR:
```
RbLiSb2Te
1.0
-3.671 1.642 -4.382
4.081 -1.602 -4.019
-2.363 -5.662 -0.142
Li Sb Rb Te
1 2 1 1
Cartesian
-0.976 -2.811 -4.272
2.040 -0.801 -2.009
-1.835 0.821 -2.191
0.000 0.000 0.000
-1.181 -2.831 -0.071
```



(4)
DFT (PBEsol) results for a relaxed structure of RbLi3Se.

Values from the calculation:
- density (g/cm³) = 2.2
- crystal system = cubic
- DFT total energy (eV per cell) = -13.21
- ΔE_f (raw) (eV/atom) = -0.49

Geometry as POSCAR:
```
RbLi3Se
1.0
-3.677 3.138 -1.876
0.158 -2.522 -4.528
-3.652 -3.268 1.693
Li Se Rb
3 1 1
Cartesian
-1.839 1.569 -0.938
0.079 -1.261 -2.264
-1.826 -1.634 0.846
0.000 0.000 0.000
-3.586 -1.326 -2.355
```



(5)
DFT (PBEsol) results for a relaxed structure of RbLi2Se2.

Values from the calculation:
- density (g/cm³) = 3.8
- crystal system = tetragonal
- DFT total energy (eV per cell) = -17.77
- ΔE_f (raw) (eV/atom) = -1.02

Geometry as POSCAR:
```
RbLi2Se2
1.0
4.460 0.000 0.000
0.000 4.460 0.000
-2.230 -2.230 5.676
Rb Li Se
1 2 2
Cartesian
0.000 0.000 0.000
0.000 2.230 2.838
2.230 0.000 2.838
2.230 2.230 1.551
0.000 0.000 4.125
```



(6)
DFT (PBEsol) results for a relaxed structure of RbLi2SnSe.

Values from the calculation:
- density (g/cm³) = 3.1
- crystal system = tetragonal
- DFT total energy (eV per cell) = -9.01
- ΔE_f (raw) (eV/atom) = 0.81

Geometry as POSCAR:
```
RbLi2SnSe
1.0
-0.116 -4.912 1.333
4.918 0.236 1.297
-1.598 1.603 5.767
Li Rb Se Sn
2 1 1 1
Cartesian
-0.058 -2.456 0.667
2.459 0.118 0.649
0.000 0.000 0.000
1.602 -1.537 4.199
-0.799 0.802 2.883
```



(7)
DFT (PBEsol) results for a relaxed structure of RbSrLi2.

Values from the calculation:
- density (g/cm³) = 1.8
- energy of formation from the pure elements (eV per atom) = 0.284
- crystal system = tetragonal
- DFT total energy (eV per cell) = -11.33

Geometry as POSCAR:
```
RbSrLi2
1.0
-5.902 0.856 -4.834
-7.214 -1.149 2.508
-3.395 6.898 -0.730
Sr Li Rb
2 4 2
Cartesian
0.000 0.000 0.000
-9.731 3.517 -2.737
-12.172 7.061 -3.701
-9.642 2.400 1.529
-5.815 -0.242 -0.564
-5.393 3.991 -3.377
-6.780 3.089 -0.320
-2.951 0.428 -2.417
```



(8)
DFT (PBEsol) results for a relaxed structure of RbLiTc3.

Values from the calculation:
- density (g/cm³) = 7.1
- energy of formation from the pure elements (eV per atom) = 2.261
- crystal system = cubic
- DFT total energy (eV per cell) = -25.48

Geometry as POSCAR:
```
RbLiTc3
1.0
4.488 0.000 0.000
0.000 4.488 0.000
0.000 0.000 4.488
Tc Li Rb
3 1 1
Cartesian
0.000 2.244 0.000
0.000 0.000 2.244
2.244 0.000 0.000
0.000 0.000 0.000
2.244 2.244 2.244
```



(9)
DFT (PBEsol) results for a relaxed structure of RbLiTe2.

Values from the calculation:
- density (g/cm³) = 3.8
- crystal system = tetragonal
- DFT total energy (eV per cell) = -26.05
-- stop --

Result:
(1)
DFT (PBEsol) results for a relaxed structure of RbLiSbTe2.

Values from the calculation:
- density (g/cm³) = 5.4
- crystal system = tetragonal
- DFT total energy (eV per cell) = -15.66
- ΔE_f (raw) (eV/atom) = -0.21

Geometry as POSCAR:
```
RbLiSbTe2
1.0
5.042 0.000 0.000
0.000 5.366 0.000
0.000 0.000 5.366
Li Te Rb Sb
1 2 1 1
Cartesian
0.000 0.000 0.000
0.000 2.683 0.000
0.000 0.000 2.683
2.521 2.683 2.683
2.521 0.000 0.000
```



(2)
DFT (PBEsol) results for a relaxed structure of RbLiSb2Te.

Values from the calculation:
- distance to the lowest polymorph of the same formula (meV per atom) = 0
- density (g/cm³) = 5.4
- crystal system = tetragonal
- DFT total energy (eV per cell) = -16.11
- ΔE_f (raw) (eV/atom) = -0.09

Geometry as POSCAR:
```
RbLiSb2Te
1.0
5.117 0.000 0.000
0.000 5.117 0.000
0.000 0.000 5.445
Sb Te Rb Li
2 1 1 1
Cartesian
0.000 2.558 0.000
2.558 0.000 0.000
0.000 0.000 2.723
2.558 2.558 2.723
0.000 0.000 0.000
```



(3)
DFT (PBEsol) results for a relaxed structure of RbLiSb2Te.

Values from the calculation:
- distance to the lowest polymorph of the same formula (meV per atom) = 1074
- density (g/cm³) = 3.5
- crystal system = tetragonal
- DFT total energy (eV per cell) = -10.74
- ΔE_f (raw) (eV/atom) = 0.98

Geometry as POSCAR:
```
RbLiSb2Te
1.0
-3.671 1.642 -4.382
4.081 -1.602 -4.019
-2.363 -5.662 -0.142
Li Sb Rb Te
1 2 1 1
Cartesian
-0.976 -2.811 -4.272
2.040 -0.801 -2.009
-1.835 0.821 -2.191
0.000 0.000 0.000
-1.181 -2.831 -0.071
```



(4)
DFT (PBEsol) results for a relaxed structure of RbLi3Se.

Values from the calculation:
- density (g/cm³) = 2.2
- crystal system = cubic
- DFT total energy (eV per cell) = -13.21
- ΔE_f (raw) (eV/atom) = -0.49

Geometry as POSCAR:
```
RbLi3Se
1.0
-3.677 3.138 -1.876
0.158 -2.522 -4.528
-3.652 -3.268 1.693
Li Se Rb
3 1 1
Cartesian
-1.839 1.569 -0.938
0.079 -1.261 -2.264
-1.826 -1.634 0.846
0.000 0.000 0.000
-3.586 -1.326 -2.355
```



(5)
DFT (PBEsol) results for a relaxed structure of RbLi2Se2.

Values from the calculation:
- density (g/cm³) = 3.8
- crystal system = tetragonal
- DFT total energy (eV per cell) = -17.77
- ΔE_f (raw) (eV/atom) = -1.02

Geometry as POSCAR:
```
RbLi2Se2
1.0
4.460 0.000 0.000
0.000 4.460 0.000
-2.230 -2.230 5.676
Rb Li Se
1 2 2
Cartesian
0.000 0.000 0.000
0.000 2.230 2.838
2.230 0.000 2.838
2.230 2.230 1.551
0.000 0.000 4.125
```



(6)
DFT (PBEsol) results for a relaxed structure of RbLi2SnSe.

Values from the calculation:
- density (g/cm³) = 3.1
- crystal system = tetragonal
- DFT total energy (eV per cell) = -9.01
- ΔE_f (raw) (eV/atom) = 0.81

Geometry as POSCAR:
```
RbLi2SnSe
1.0
-0.116 -4.912 1.333
4.918 0.236 1.297
-1.598 1.603 5.767
Li Rb Se Sn
2 1 1 1
Cartesian
-0.058 -2.456 0.667
2.459 0.118 0.649
0.000 0.000 0.000
1.602 -1.537 4.199
-0.799 0.802 2.883
```



(7)
DFT (PBEsol) results for a relaxed structure of RbSrLi2.

Values from the calculation:
- density (g/cm³) = 1.8
- energy of formation from the pure elements (eV per atom) = 0.284
- crystal system = tetragonal
- DFT total energy (eV per cell) = -11.33

Geometry as POSCAR:
```
RbSrLi2
1.0
-5.902 0.856 -4.834
-7.214 -1.149 2.508
-3.395 6.898 -0.730
Sr Li Rb
2 4 2
Cartesian
0.000 0.000 0.000
-9.731 3.517 -2.737
-12.172 7.061 -3.701
-9.642 2.400 1.529
-5.815 -0.242 -0.564
-5.393 3.991 -3.377
-6.780 3.089 -0.320
-2.951 0.428 -2.417
```



(8)
DFT (PBEsol) results for a relaxed structure of RbLiTc3.

Values from the calculation:
- density (g/cm³) = 7.1
- energy of formation from the pure elements (eV per atom) = 2.261
- crystal system = cubic
- DFT total energy (eV per cell) = -25.48

Geometry as POSCAR:
```
RbLiTc3
1.0
4.488 0.000 0.000
0.000 4.488 0.000
0.000 0.000 4.488
Tc Li Rb
3 1 1
Cartesian
0.000 2.244 0.000
0.000 0.000 2.244
2.244 0.000 0.000
0.000 0.000 0.000
2.244 2.244 2.244
```



(9)
DFT (PBEsol) results for a relaxed structure of RbLiTe2.

Values from the calculation:
- density (g/cm³) = 3.8
- crystal system = tetragonal
- DFT total energy (eV per cell) = -26.05